Data
'''
Entry 1:
{"formula": "Mn23C6", "functional": "SCAN", "state": "single point on PBEsol structure", "ef_ev_per_atom": -0.11, "spacegroup": "Fm-3m, No. 225", "rho_kg_m3": 8261, "magmom_total_mub_per_cell": 18.09, "cell": [[7.2410, 0.0000, 0.0000], [3.6205, 6.2709, 0.0000], [3.6205, 2.0903, 5.9123]], "species": ["Mn", "Mn", "Mn", "Mn", "Mn", "Mn", "Mn", "Mn", "Mn", "Mn", "Mn", "Mn", "Mn", "Mn", "Mn", "Mn", "Mn", "Mn", "Mn", "Mn", "Mn", "Mn", "Mn", "C", "C", "C", "C", "C", "C"], "fractional_positions": [[0.0000, 0.0000, 0.0000], [0.2500, 0.2500, 0.2500], [0.7500, 0.7500, 0.7500], [0.8552, 0.3816, 0.3816], [0.6184, 0.6184, 0.6184], [0.6184, 0.6184, 0.1448], [0.6184, 0.1448, 0.6184], [0.3816, 0.3816, 0.8552], [0.3816, 0.8552, 0.3816], [0.3816, 0.3816, 0.3816], [0.1448, 0.6184, 0.6184], [0.6652, 0.0000, 0.3348], [0.6652, 0.0000, 0.0000], [0.0000, 0.6652, 0.3348], [0.0000, 0.3348, 0.0000], [0.0000, 0.6652, 0.0000], [0.6652, 0.3348, 0.0000], [0.0000, 0.0000, 0.3348], [0.0000, 0.3348, 0.6652], [0.3348, 0.6652, 0.0000], [0.0000, 0.0000, 0.6652], [0.3348, 0.0000, 0.0000], [0.3348, 0.0000, 0.6652], [0.7239, 0.2761, 0.7239], [0.2761, 0.7239, 0.7239], [0.7239, 0.2761, 0.2761], [0.2761, 0.2761, 0.7239], [0.7239, 0.7239, 0.2761], [0.2761, 0.7239, 0.2761]]}



Entry 2:
{"formula": "MnC2", "functional": "SCAN", "state": "single point on PBEsol structure", "de_polymorph_ev_per_atom": 0.483, "ef_ev_per_atom": 0.92, "spacegroup": "R3m, No. 160", "rho_kg_m3": 4183, "magmom_total_mub_per_cell": 0.82, "cell": [[3.1994, 0.0000, 0.0000], [1.5997, 2.7708, 0.0000], [1.5997, 0.9236, 3.5356]], "species": ["C", "C", "Mn"], "fractional_positions": [[0.2316, 0.2316, 0.3052], [0.3611, 0.3611, 0.9168], [0.0740, 0.0740, 0.7779]]}



Entry 3:
{"formula": "MnC2", "functional": "SCAN", "state": "single point on PBEsol structure", "de_polymorph_ev_per_atom": 0.009, "ef_ev_per_atom": 0.44, "spacegroup": "R-3m, No. 166", "rho_kg_m3": 6019, "magmom_total_mub_per_cell": 2.96, "cell": [[-2.1763, 0.0760, -1.3103], [-0.3449, -1.5531, -1.9818], [-2.3620, -3.1804, 1.2740]], "species": ["C", "C", "Mn"], "fractional_positions": [[0.1823, 0.1823, 0.4530], [0.8177, 0.8177, 0.5470], [0.0000, 0.0000, 0.0000]]}



Entry 4:
{"formula": "MnC2", "functional": "SCAN", "state": "single point on PBEsol structure", "de_polymorph_ev_per_atom": 0.295, "ef_ev_per_atom": 0.73, "spacegroup": "Cm, No. 8", "rho_kg_m3": 5730, "magmom_total_mub_per_cell": 1.39, "cell": [[2.5021, 0.0000, 0.0000], [0.0000, 4.1788, 0.0477], [-1.2511, 0.0101, 4.3770]], "species": ["C", "C", "C", "C", "Mn", "Mn"], "fractional_positions": [[0.1013, 0.9126, 0.2027], [0.5461, 0.7583, 0.0923], [0.3418, 0.3767, 0.6836], [0.3706, 0.7180, 0.7413], [0.0327, 0.3523, 0.0654], [0.7740, 0.0487, 0.5481]]}



Entry 5:
{"formula": "MnC2", "functional": "SCAN", "state": "single point on PBEsol structure", "de_polymorph_ev_per_atom": 0.880, "ef_ev_per_atom": 1.31, "spacegroup": "I4_1/amd, No. 141", "rho_kg_m3": 6024, "magmom_total_mub_per_cell": 5.34, "cell": [[-3.0428, 1.0663, -0.6290], [-1.2264, -2.8241, 1.1451], [1.9270, 2.4699, 3.4433]], "species": ["C", "C", "C", "C", "Mn", "Mn"], "fractional_positions": [[0.8415, 0.3415, 0.6830], [0.4085, 0.4085, 0.8170], [0.6585, 0.1585, 0.3170], [0.5915, 0.5915, 0.1830], [0.2500, 0.7500, 0.5000], [0.0000, 0.0000, 0.0000]]}



Entry 6:
{"formula": "MnC2", "functional": "SCAN", "state": "single point on PBEsol structure", "de_polymorph_ev_per_atom": 1.050, "ef_ev_per_atom": 1.48, "spacegroup": "P4_2/mnm, No. 136", "rho_kg_m3": 4707, "magmom_total_mub_per_cell": 1.61, "cell": [[-0.1758, -0.2347, 2.4758], [1.9748, -4.2868, -0.2662], [4.2821, 1.9423, 0.4881]], "species": ["C", "C", "C", "C", "Mn", "Mn"], "fractional_positions": [[0.0000, 0.7854, 0.7854], [0.0000, 0.2146, 0.2146], [0.5000, 0.7146, 0.2854], [0.5000, 0.2854, 0.7146], [0.0000, 0.5000, 0.5000], [0.5000, 0.0000, 0.0000]]}



> Number 5 is which compound?

MnC2

----------

[1]
'''

Exercise
It remains to filter the contents further above: keep the lines with the word "R-3m".

Result
{"formula": "MnC2", "functional": "SCAN", "state": "single point on PBEsol structure", "de_polymorph_ev_per_atom": 0.009, "ef_ev_per_atom": 0.44, "spacegroup": "R-3m, No. 166", "rho_kg_m3": 6019, "magmom_total_mub_per_cell": 2.96, "cell": [[-2.1763, 0.0760, -1.3103], [-0.3449, -1.5531, -1.9818], [-2.3620, -3.1804, 1.2740]], "species": ["C", "C", "Mn"], "fractional_positions": [[0.1823, 0.1823, 0.4530], [0.8177, 0.8177, 0.5470], [0.0000, 0.0000, 0.0000]]}